**Assignment**
Copy only the lines further below with the word "from" in them.

**Given**
[1]
Below is an optimized crystal structure of Ho5Te2Ru, with properties calculated at the PBE level.

Cell: 6.574 6.574 14.453 Å, 90.00 90.00 127.41°
Positions (direct):
1 Ho 0.063 0.937 0.624
2 Ho 0.063 0.937 0.876
3 Ho 0.307 0.693 0.250
4 Ho 0.372 0.628 0.615
5 Ho 0.372 0.628 0.885
6 Ho 0.628 0.372 0.115
7 Ho 0.628 0.372 0.385
8 Ho 0.693 0.307 0.750
9 Ho 0.937 0.063 0.124
10 Ho 0.937 0.063 0.376
11 Te 0.190 0.810 0.059
12 Te 0.190 0.810 0.441
13 Te 0.810 0.190 0.559
14 Te 0.810 0.190 0.941
15 Ru 0.220 0.780 0.750
16 Ru 0.780 0.220 0.250

- symmetry = Cmcm
- polymorph energy (0 for the lowest one) (kJ/mol of atoms) = 25.7
- density (g/cm3) = 7.91
- formation energy from raw total energies (eV per atom) = -0.504

[2]
Below is an optimized crystal structure of MgHgGe, with properties calculated at the PBE level.

Cell: 7.117 4.230 8.821 Å, 90.00 90.00 90.00°
Positions (direct):
1 Mg 0.166 0.250 0.046
2 Mg 0.334 0.750 0.546
3 Mg 0.666 0.250 0.454
4 Mg 0.834 0.750 0.954
5 Hg 0.013 0.250 0.660
6 Hg 0.487 0.750 0.160
7 Hg 0.513 0.250 0.840
8 Hg 0.987 0.750 0.340
9 Ge 0.214 0.750 0.839
10 Ge 0.286 0.250 0.339
11 Ge 0.714 0.750 0.661
12 Ge 0.786 0.250 0.161

- symmetry = Pnma
- density (g/cm3) = 7.44
- formation energy from the elements (eV per formula unit) = 0.24

[3]
Below is an optimized crystal structure of Rb2SiPbS4, with properties calculated at the PBE level.

Cell: 8.377 8.377 8.842 Å, 117.54 117.54 88.47°
Positions (direct):
1 Rb 0.000 0.000 0.000
2 Rb 0.000 0.000 0.500
3 Rb 0.000 0.500 0.000
4 Rb 0.500 0.000 0.500
5 Si 0.000 0.500 0.500
6 Si 0.500 0.000 0.000
7 Pb 0.500 0.500 0.000
8 Pb 0.500 0.500 0.500
9 S 0.165 0.654 0.455
10 S 0.222 0.336 0.552
11 S 0.336 0.222 0.052
12 S 0.346 0.835 0.045
13 S 0.654 0.165 0.955
14 S 0.664 0.778 0.948
15 S 0.778 0.664 0.448
16 S 0.835 0.346 0.545

- symmetry = C2/c
- density (g/cm3) = 3.75
- formation energy from raw total energies (eV per atom) = -0.605

[4]
Below is an optimized crystal structure of TaWN, with properties calculated at the PBE level.

Cell: 9.859 3.004 5.334 Å, 90.00 100.52 90.00°
Positions (direct):
1 Ta 0.247 0.000 0.263
2 Ta 0.253 0.500 0.737
3 Ta 0.747 0.500 0.263
4 Ta 0.753 0.000 0.737
5 W 0.000 0.000 0.500
6 W 0.000 0.500 0.000
7 W 0.500 0.000 0.000
8 W 0.500 0.500 0.500
9 N 0.128 0.000 0.878
10 N 0.372 0.500 0.122
11 N 0.628 0.500 0.878
12 N 0.872 0.000 0.122

- symmetry = C2/m
- density (g/cm3) = 16.20
- formation energy from raw total energies (eV per atom) = -0.412

[5]
Below is an optimized crystal structure of YTeNF2, with properties calculated at the PBE level.

Cell: 4.670 4.670 4.177 Å, 90.00 90.00 90.00°
Positions (direct):
1 Y 0.000 0.000 0.000
2 Te 0.500 0.500 0.500
3 N 0.500 0.500 0.000
4 F 0.000 0.500 0.500
5 F 0.500 0.000 0.500

- symmetry = P4/mmm
- polymorph energy (0 for the lowest one) (kJ/mol of atoms) = 91.1
- density (g/cm3) = 4.89
- formation energy from raw total energies (eV per atom) = -0.606

[6]
Below is an optimized crystal structure of BaY2CCl, with properties calculated at the PBE level.

Cell: 4.705 4.705 8.033 Å, 90.00 90.00 90.00°
Positions (direct):
1 Ba 0.000 0.000 0.000
2 Y 0.000 0.500 0.500
3 Y 0.500 0.000 0.500
4 C 0.500 0.500 0.500
5 Cl 0.500 0.500 0.000

- symmetry = P4/mmm
- polymorph energy (0 for the lowest one) (kJ/mol of atoms) = 0.0
- density (g/cm3) = 3.39
- formation energy from raw total energies (eV per atom) = -0.262

[7]
Below is an optimized crystal structure of LiPuN, with properties calculated at the PBE level.

Cell: 5.587 5.587 5.587 Å, 90.00 90.00 90.00°
Positions (direct):
1 Li 0.000 0.000 0.000
2 Li 0.000 0.500 0.500
3 Li 0.500 0.000 0.500
4 Li 0.500 0.500 0.000
5 Pu 0.000 0.000 0.500
6 Pu 0.000 0.500 0.000
7 Pu 0.500 0.000 0.000
8 Pu 0.500 0.500 0.500
9 N 0.250 0.250 0.250
10 N 0.250 0.750 0.750
11 N 0.750 0.250 0.750
12 N 0.750 0.750 0.250

- symmetry = F-43m
- density (g/cm3) = 10.09
- formation energy from raw total energies (eV per atom) = -0.533

[8]

**Result**
- formation energy from raw total energies (eV per atom) = -0.504
- formation energy from the elements (eV per formula unit) = 0.24
- formation energy from raw total energies (eV per atom) = -0.605
- formation energy from raw total energies (eV per atom) = -0.412
- formation energy from raw total energies (eV per atom) = -0.606
- formation energy from raw total energies (eV per atom) = -0.262
- formation energy from raw total energies (eV per atom) = -0.533